Job:
Reproduce only the lines underneath with the word "low" in them.

Listing:
********
Structure and theoretical XRD peak list of Ta3Nb7W (DFT lattice parameters and positions (GGA-PBE); Cu Kα, 1.54184 Å).
Peak positions follow from Bragg's law for the DFT cell and can differ from measured ones.

Peak list (12 most intense, 10° ≤ 2θ ≤ 90°, in order of rising 2θ)
| 2θ (°) | d_spacing | I_rel | index |
| --- | --- | --- | --- |
| 17.3 | 5.138 | 16 | 1 0 0 |
| 21.5 | 4.139 | 13 | 1 0 1 |
| 32.8 | 2.730 | 10 | 1 1 1 |
| 37.3 | 2.411 | 100 | 2 0 1 |
| 38.7 | 2.329 | 29 | 0 0 3 |
| 43.7 | 2.070 | 64 | 0 2 2 |
| 62.6 | 1.483 | 22 | 2 2 0 |
| 64.5 | 1.444 | 19 | 2 0 4 |
| 75.2 | 1.263 | 13 | 0 4 1 |
| 76.1 | 1.251 | 24 | 2 2 3 |
| 77.8 | 1.228 | 11 | 0 2 5 |
| 79.5 | 1.206 | 11 | 4 0 2 |

Crystal structure
a = 5.9325 Å, b = 5.9325 Å, c = 6.9872 Å
α = 90.00°, β = 90.00°, γ = 120.00°
Space group P3m1 (No. 156)
One atom of each set of equivalent atoms:
Ta (0.0012, 0.5006, 0.0000) x3
Nb (0.1621, 0.3242, 0.6777) x3
Nb (0.3233, 0.1616, 0.3180) x3
Nb (0.6667, 0.3333, 0.6587) x1
W (0.3333, 0.6667, 0.3379) x1


Theoretical X-ray powder pattern of CdIn2Hg7Pb2 for a wavelength of 1.5418 Å, from a structure optimized by DFT (PBE).

Peak list (10 most intense, 10° ≤ 2θ ≤ 80°, by angle)
2theta  I/Imax
17.38  25.5
23.80  40.7
33.30  32.8
34.50  57.6
34.87  100.0
37.47  36.9
37.60  69.8
48.71  22.9
62.05  19.4
63.84  22.7

Cell and atoms:
Cell: 13.548 13.548 5.412 Å, 95.52 95.52 22.12°
Positions (direct):
Cd 0.000 0.000 0.000
In 0.435 0.435 0.121
In 0.558 0.558 0.212
Hg 0.119 0.119 0.230
Hg 0.311 0.311 0.026
Hg 0.372 0.372 0.552
Hg 0.496 0.496 0.651
Hg 0.620 0.620 0.761
Hg 0.685 0.685 0.321
Hg 0.882 0.882 0.884
Pb 0.246 0.246 0.467
Pb 0.749 0.749 0.879


(1)
Calculated powder diffraction line list of TbPrEuTh for copper Kα, from a crystal structure in Alexandria, relaxed with PBE.
Neutral-atom scattering factors, no anomalous dispersion.

Top 10 peaks for 5 to 70 degrees two-theta, low angle first:
- 18.68 deg, I = 2
- 21.60 deg, I = 1
- 30.74 deg, I = 100
- 36.21 deg, I = 1
- 44.02 deg, I = 19
- 48.21 deg, I = 1
- 49.55 deg, I = 1
- 54.65 deg, I = 40
- 58.27 deg, I = 1
- 64.02 deg, I = 12

Cell: 8.228 8.228 8.228 Å, 90.00 90.00 90.00°
Space group F-43m (No. 216)
Inequivalent atoms, fractional coordinates:
Tb (0.000, 0.000, 0.000) x4
Pr (0.000, 0.000, 0.500) x4
Eu (0.250, 0.250, 0.750) x4
Th (0.250, 0.250, 0.250) x4


(2)
Calculated powder diffraction line list of Pr2EuTh for copper Kα, from a crystal structure in Alexandria, relaxed with PBE.
Neutral-atom scattering factors, no anomalous dispersion.

Top 10 peaks for 5 to 70 degrees two-theta, low angle first:
- 6.92 deg, I = 42
- 27.93 deg, I = 54
- 28.73 deg, I = 100
- 30.69 deg, I = 42
- 32.81 deg, I = 18
- 34.07 deg, I = 33
- 36.94 deg, I = 84
- 50.18 deg, I = 39
- 58.41 deg, I = 42
- 60.76 deg, I = 22

Cell: 3.6361 3.6361 38.3285 Å, 90.00 90.00 120.00°
Space group R-3m (No. 166, hexagonal axes)
Inequivalent atoms, fractional coordinates:
Pr (0.0000, 0.0000, 0.0919) x6
Eu (0.0000, 0.0000, 0.0000) x3
Th (0.0000, 0.0000, 0.5000) x3


(3)
Calculated powder diffraction line list of Eu4Pt for copper Kα, from a crystal structure in Alexandria, relaxed with PBE.
Neutral-atom scattering factors, no anomalous dispersion.

Top 10 peaks for 5 to 70 degrees two-theta, low angle first:
- 21.19 deg, I = 28
- 24.90 deg, I = 13
- 26.03 deg, I = 100
- 30.14 deg, I = 24
- 32.92 deg, I = 23
********

Worked solution:
Top 10 peaks for 5 to 70 degrees two-theta, low angle first:
Top 10 peaks for 5 to 70 degrees two-theta, low angle first:
Top 10 peaks for 5 to 70 degrees two-theta, low angle first: